UICollectionView: Get indexPath of Cell that is not visible - ios

I have a UICollectionView with several cells – there are always some of them outside the viewport, so there are cells being reused.
When an event occurs I want to take a specific cell and move it to the front of the UICollectionView. In order to make moveItemAtIndexPath() work I need to know the current indexPath of the Cell that I want to move.
When I initialize the Cells in the CollectionViewDelegate with the cellForItemAtIndexPath method I save its indexPath into a variable of the Object that is the model of the Cell (not it’s actual Object, just the model). Then I look at this variable when I want to move the cell.
This is working fine as long as the cell was visible once – it seems like it only initiated then, even though it is part of the CollectionViewData all the time.
How can I make sure my CollectionViewCell has an indexPath, even when it is not visible or has not been visible yet?

_Here the page breaks off for materials data_
____________
For Li3TiTl, the PBE geometry in Alexandria gives the simulated X-ray diffraction stick pattern in this record (CuKα).
Intensities are scaled so that the largest is 100.

Structural model:
```
data_Li3TiTl
_symmetry_space_group_name_H-M 'P m -3 m'
_symmetry_Int_Tables_number 221
_symmetry_space_group_name_Hall '-P 4 2 3'
_cell_length_a 4.814
_cell_length_b 4.814
_cell_length_c 4.814
_cell_angle_alpha 90.00
_cell_angle_beta 90.00
_cell_angle_gamma 90.00
loop_
_atom_site_label
_atom_site_type_symbol
_atom_site_fract_x
_atom_site_fract_y
_atom_site_fract_z
Li1 Li 0.000 0.000 0.500
Ti1 Ti 0.500 0.500 0.500
Tl1 Tl 0.000 0.000 0.000
```

Most intense lines, 2θ from 10° to 90°, sorted by position:
| 2theta | d/Å | I_rel | h k l |
| --- | --- | --- | --- |
| 18.4 | 4.814 | 46 | 1 0 0 |
____________

If you know what data (cell) you want to present at the front (I assume top) of your UICollectionView, why don't you just update your dataSource and reload your UICollectionView?


How can the content of a UITableViewCell be updated properly?

I have a TableView whose cells content need to be updated when it's TableViewRowAction is excecuted. More precisely I want to update a UILabel inside the cell. Setting a new text to this label inside the action is no problem but when scrolling down/up and the cell gets reloaded, then this label inside the cell has the same text as before changing it.
I know that the cells get reused and that's why I want to know how to "avoid" this effect and how to update the content of the cells properly. I have already tried to call TableView.ReloadData() which seems to solve the problem but the cells appear in a completly different order which doesn't look very nice.
The most straightforward approach is to update the data that your UITableView is drawing from (i.e. the array of data that you're populating each cell from has been updated to reflect your text change), then reload the specific cell of the UITableView:
let indexPath = IndexPath(row: 0, section: 0)
tableView.reloadRows(at: [indexPath], with: .automatic)
As you said table cells are reused , this means you have to keep a model array for the whole table and make all the changes to it , then reload the table more importantly to set the content of the cell index in cellForRowAt
To achieve this you must create an Array that acts as a dataSource for your labels. When you are changing the text for a specific label, you must update the array. You can get the exact update location from the property indexPath of the method cellForRowAt. Every single time you scroll up and down, cellForRowAt method is called. Just use something like
label.text = array[indexPath.row]

What is wrong if cellForItemAtIndexPath: is called in didSelectItemAtIndexPath:

I called cellForItemAtIndexPath: in the didSelectItemAtIndexPath: method. The result was that didSelectItemAtIndexPath: was only called one time per cell. So I can tap the first time on a cell, then I can tap on another cell, but if I tap on the first cell again the didSelectItemAtIndexPath is not called anymore (but all other "new" cells).
Now I'm not calling cellForItemAtIndexPath: anymore and now didSelectItemAtIndexPath: works as expected. But why I'm not allowed to do this? Any reasons for this?
The collection view is caching instances of cells for you and you dequeue them when you create the cell at an index path. The collection view is making some assumptions about what's going on when you do this, so if you start making multiple requests for cells at the same index path strange things start to happen. Sometimes this results in visual issues, sometimes interaction issues.
If you want to get the cell at a specified index path you should ask the collection view directly instead of using your own delegate method, this will give you the existing cell on screen rather than a new cell.

Multiple cells got affected after calling cellForRowAtIndexPath

I have a UITableView, and I want to change text color of the selected row. But I see every other 15 row got affected along with the one I clicked. This is tested under the master-detail sample project.
if let indexPath = self.tableView.indexPathForSelectedRow(){
self.tableView.cellForRowAtIndexPath(indexPath)?.textLabel?.textColor = UIColor.redColor()
I checked cellForRowAtIndexPath value in debug session, it seems returning only one object, how come other cells got affected too?
Cells are reused - almost certainly you are not resetting your cells to a base state in prepareForReuse and configuring them correctly on each call to cellForRowAtIndexPath.
When you look at a table view that can display some number of cells at once, typically there will only exist one more cell than can be shown. When a cell is moved off the screen it is placed in a pool of cells for reuse. Just before a cell moves onto the screen it is configured by you, in cellForRowAtIndexPath. If you have configured something in the cell and you do not configure that explicitly every time you return a cell from cellForRowAtIndexPath then that configuration persists in the cell that is in the reuse pool. The function prepareForReuse is also called before each cell is reused - if you have subclassed UITableViewCell then you can implement this function to return the cell to a base configuration, so that settings like text color do not unexpectedly affect multiple cells.
This approach makes it possible to scroll through an entire table view smoothly with a minimum amount of memory used. It is an expensive operation to create and destroy cells every time one disappears and a new one is required.
The simplest fix is to always set the text color in cellForRowAtIndexPath - either to the base color or to the special color you want in some cells.

Can you store state in a custom UICollectionViewCell? Or can the state get erased (like when the cell scrolls off the screen)?

No. 1
Diffraction record for Cs2KCrC6N6. The X-ray diffraction stick pattern is calculated, not measured: it uses DFT lattice parameters and positions (PBE) and Cu Kα (λ = 1.5418 Å).
Peak positions follow from Bragg's law for the DFT cell and can differ from measured ones.

Cell and atoms:
Lattice parameters (Å, degrees): 7.8366 8.4280 13.7765 90.00 124.00 90.00
Fractional positions:
Cs: 0.2216 0.0771 0.2475
Cs: 0.2216 0.4229 0.7475
Cs: 0.7784 0.5771 0.2525
Cs: 0.7784 0.9229 0.7525
K: 0.0000 0.0000 0.5000
K: 0.0000 0.5000 0.0000
Cr: 0.5000 0.0000 0.0000
Cr: 0.5000 0.5000 0.5000
C: 0.2498 0.1282 0.9639
C: 0.2498 0.3718 0.4639
C: 0.3285 0.7038 0.4538
C: 0.3285 0.7962 0.9538
C: 0.4125 0.0279 0.8307
C: 0.4125 0.4721 0.3307
C: 0.5875 0.5279 0.6693
C: 0.5875 0.9721 0.1693
C: 0.6715 0.2038 0.0462
C: 0.6715 0.2962 0.5462
C: 0.7502 0.6282 0.5361
C: 0.7502 0.8718 0.0361
N: 0.1047 0.2017 0.9421
N: 0.1047 0.2983 0.4421
N: 0.2270 0.6807 0.9256
N: 0.2270 0.8193 0.4256
N: 0.3617 0.0468 0.7334
N: 0.3617 0.4532 0.2334
N: 0.6383 0.5468 0.7666
N: 0.6383 0.9532 0.2666
N: 0.7730 0.1807 0.5744
N: 0.7730 0.3193 0.0744
N: 0.8953 0.7017 0.5579
N: 0.8953 0.7983 0.0579

Peak list (10 most intense, 10 to 90 degrees two-theta, sorted by position)
d (Å)  2θ/deg  I (rel.)
5.725  15.5  35.1
4.214  21.1  32.5
4.065  21.9  100.0
4.031  22.1  99.0
3.954  22.5  31.6
3.918  22.7  45.8
2.869  31.2  34.6
2.855  31.3  35.0
2.579  34.8  33.1
2.297  39.2  32.4

---

No. 2
Diffraction record for Ga2W3Se6. The X-ray diffraction stick pattern is calculated, not measured: it uses DFT lattice parameters and positions (PBE) and Cu Kα (λ = 1.5418 Å).
Peak positions follow from Bragg's law for the DFT cell and can differ from measured ones.

Cell and atoms:
Lattice parameters (Å, degrees): 3.2995 3.2995 57.7121 90.00 90.00 120.00
Fractional positions:
Ga: 0.0000 0.0000 0.0000
Ga: 0.0000 0.0000 0.3191
Ga: 0.0000 0.0000 0.6525
Ga: 0.6667 0.3333 0.9634
W: 0.0000 0.0000 0.0774
W: 0.0000 0.0000 0.4047
W: 0.0000 0.0000 0.7380
W: 0.6667 0.3333 0.2304
W: 0.6667 0.3333 0.5637
W: 0.6667 0.3333 0.8861
Se: 0.0000 0.0000 0.2010
Se: 0.0000 0.0000 0.2599
Se: 0.0000 0.0000 0.5343
Se: 0.0000 0.0000 0.5931
Se: 0.0000 0.0000 0.8568
Se: 0.0000 0.0000 0.9155
Se: 0.6667 0.3333 0.0479
Se: 0.6667 0.3333 0.1067
Se: 0.6667 0.3333 0.3753
Se: 0.6667 0.3333 0.4341
Se: 0.6667 0.3333 0.7087
Se: 0.6667 0.3333 0.7674

Peak list (10 most intense, 10 to 90 degrees two-theta, sorted by position)
d (Å)  2θ/deg  I (rel.)
6.412  13.8  34.0
2.857  31.3  61.5
2.739  32.7  29.2
2.610  34.4  50.4
2.457  36.6  44.1
2.294  39.3  100.0
2.134  42.4  37.5
1.840  49.5  20.6
1.650  55.7  50.5
1.626  56.6  23.6

---

No. 3
Diffraction record for CrIn2S4. The X-ray diffraction stick pattern is calculated, not measured: it uses DFT lattice parameters and positions (PBE) and Cu Kα (λ = 1.5418 Å).
Peak positions follow from Bragg's law for the DFT cell and can differ from measured ones.

Cell and atoms:

If I create a UICollectionViewCell subclass like:
class StudentCell: UICollectionViewCell {
var student: Student?
And in my controller I implement UICollectionView's didSelectItemAtIndexPath and set the variable:
func collectionView(collectionView: UICollectionView, didSelectItemAtIndexPath indexPath: NSIndexPath) {
if let studentCell = collectionView.cellForItemAtIndexPath(indexPath) as? StudentCell {
studentCell.student = self.someStudent
When I click on the cell it should set student, but if the cell is scrolled off screen it seems like the whole cell might get wiped and when it comes back on screen it would need to rebuild itself in cellForItemAtIndexPath.
The problem I have is that I have a UICollectionView with cells that do not scroll off the screen that I'm storing data in. Because they don't leave the screen I assume they should not get wiped, but one of the cells does not seem to keep it's variable, which makes me think maybe it's getting wiped and I may need to move the state outside of the cells to a dictionary or something and in didSelectItemAtIndexPath instead of setting the variable in the cell I'd set the dictionary. Whenever I need to access the data instead of asking the cell for it I'd look it up in the dictionary.
But either way, I was wondering if it's possible (or a bad idea) to set it in the cell or not.
Yes, cells in both UICollectionView and UITableView can (will) be reused at the systems discretion and should not be used to store state information, only display information. Specifically, both views will reuse cells when they are scrolled off-screen, but there's no guarantee this is the only time they'll be reused. The usual way to handle this is to define some kind of cell data object which stores the data for each cell (visible and not) and refresh the cell view from that as needed/requested.
Tables display their data in cells. A cell is related to a row but it’s not exactly the same. A cell is a view that shows a row of data that happens to be visible at that moment. If your table can show 10 rows at a time on the screen, then it only has10 cells, even though there may be hundreds of rows with actual data. Whenever a row scrolls off the screen and becomes invisible, its cell will be re-used for a new row that scrolls into the screen.

UITableView inside custom UICollectionView

(Crystal structures, kept here for reference)
For ThB2Ru2, a PBE-relaxed structure gives the computed powder XRD pattern in this record (Cu Kα (weighted mean of Kα1 and Kα2)).
Neutral-atom scattering factors, no anomalous dispersion.

The 10 most intense peaks (2θ from 10° to 90°), low angle first:
d = 3.492 Å, 25.51 deg, I = 13
d = 3.150 Å, 28.33 deg, I = 31
d = 2.656 Å, 33.75 deg, I = 100
d = 2.328 Å, 38.68 deg, I = 23
d = 2.286 Å, 39.41 deg, I = 28
d = 1.913 Å, 47.54 deg, I = 13
d = 1.631 Å, 56.41 deg, I = 18
d = 1.438 Å, 64.83 deg, I = 12
d = 1.399 Å, 66.87 deg, I = 12
d = 1.381 Å, 67.88 deg, I = 12

```
ThB2Ru2
1.0
-3.233 3.233 13.968
3.233 -3.233 13.968
3.233 3.233 -13.968
Th B Ru
8 16 16
Direct
0.000 0.000 0.000 Th
0.000 0.000 0.500 Th
0.000 0.500 0.000 Th
0.000 0.500 0.500 Th
0.500 0.000 0.000 Th
0.500 0.000 0.500 Th
0.500 0.500 0.000 Th
0.500 0.500 0.500 Th
0.019 0.373 0.583 B
0.064 0.209 0.583 B
0.127 0.481 0.917 B
0.209 0.127 0.145 B
0.291 0.436 0.917 B
0.373 0.291 0.355 B
0.436 0.019 0.145 B
0.481 0.064 0.355 B
0.519 0.936 0.645 B
0.564 0.981 0.855 B
0.627 0.709 0.645 B
0.709 0.564 0.083 B
0.791 0.873 0.855 B
0.873 0.519 0.083 B

As the title says, i'm trying to put one UITableView inside a custom UICollectionViewCell, i made it so it's perfectly displayed, but now i need the touches inside the Cell that contains the Table to call the didSelectRowForIndexPath method.
I have a .xib for this custom UICollectionViewCell, inside it i have the UITableView, and i have it's delegate and datasource correctly set.
Now, if i run this, the CollectionView cells are loaded with their proper data (this is, each cell with a table containing the proper rows), but if i try to select one row from one table, the CollectionViewCell is selected instead of the TableViewCell (this is expected, but not what i need).
I'd like to know if is there a way for the TableView row to get selected, even if it's inside a CollectionView cell.
Thank you and sorry for my english.
